Tobias Sutter

Tobias Sutter
Tobias Sutter
I am excited to work in the intersection of data science and automation with the goal to contribute towards a better theoretical understanding.

Tobias Sutter was a Postdoc at the Risk Analytics and Optimization Group at EPF Lausanne as well as the Learning & Adaptive Systems Group in the Institute for Machine Learning at ETH Zurich. He joined NCCR Automation from August 2020 to August 2021. He received his Ph.D. in Electrical Engineering from ETH Zurich (2017). He has been awarded the IEEE George S. Axelby Outstanding Paper Award (2016) and the ETH medal for outstanding doctoral thesis (2018). His research interests lie in the intersection of reinforcement learning, mathematical optimization and data science.

Publications scientifiques

Robust Generalization despite Distribution Shift via Minimum Discriminating Information
Conference on Neural Information Processing Systems (NeurIPS 2021)
Vol 34 Pages 29754-29767
Efficient Learning of a Linear Dynamical System with Stability Guarantees
IEEE Transactions on Automatic Control
Vol 68 No 5 Pages 2790-2804
Distributionally Robust Optimization with Markovian Data
38th International Conference on Machine Learning (ICML 2021)

Projets de recherche comme Chercheur

Calculated crystals from another source follow.
<<<
The following is a PBE calculation of a relaxed structure of K4GeP4Se12, from the Materials Project database. Values from VASP.

Output
**E_tot**: -3.99 eV per atom
**E_form**: -16.8 eV/f.u.

Structure (Quantum ESPRESSO input):
```
&SYSTEM
  ibrav = 0, nat = 84, ntyp = 4
/
ATOMIC_SPECIES
Se 78.96 Se.upf
K 39.10 K.upf
P 30.97 P.upf
Ge 72.64 Ge.upf
CELL_PARAMETERS angstrom
0.0000 -7.4073 0.0000
-14.3104 0.0000 0.0000
0.0000 0.0000 -24.5362
ATOMIC_POSITIONS angstrom
Se -2.5936 -6.7361 -13.1565
Se -13.0347 -3.1621 -16.7039
Se -13.4545 -3.4023 -8.0071
Se -4.3892 -2.3184 -19.5353
Se -3.5889 -3.5018 -1.5498
Se -2.7660 -2.3184 -7.2672
Se -9.3571 -2.3820 -17.0538
Se -8.0683 -7.0268 -10.0943
Se -1.2757 -4.2452 -4.4358
Se -6.9516 -5.6931 -13.3433
Se -1.6918 -4.1763 -10.7132
Se -0.8556 -0.1351 -19.3871
Se -13.3973 -7.0268 -22.3624
Se -3.5663 -3.5018 -13.8179
Se -11.8126 -5.3993 -10.6057
Se -6.2996 -0.1351 -7.1190
Se -8.0111 -3.4023 -20.2752
Se -4.9532 -5.0253 -4.7857
Se -0.2036 -5.6931 -1.0752
Se -12.6186 -3.2310 -22.9813
Se -11.5444 -5.0889 -19.5353
Se -8.8470 -3.2310 -10.7132
Se -0.9131 -0.3805 -10.0943
Se -9.0619 -6.7914 -4.1795
Se -10.7441 -3.9055 -1.5498
Se -6.2421 -0.3805 -22.3624
Se -5.4634 -4.1763 -22.9813
Se -9.7488 -0.6712 -13.1565
Se -4.6574 -2.0080 -10.6057
Se -7.3588 -1.7142 -1.0752
Se -12.4036 -6.7914 -16.4475
Se -8.4309 -3.1621 -4.4358
Se -11.7168 -0.6712 -0.8884
Se -13.4548 -7.2721 -7.1190
Se -12.1084 -2.3820 -4.7857
Se -5.8795 -4.2452 -16.7039
Se -4.5616 -6.7361 -0.8884
Se -9.9212 -5.0889 -7.2672
Se -6.2993 -4.0050 -8.0071
Se -1.9067 -0.6159 -4.1795
Se -2.4978 -2.0080 -22.8738
Se -8.0108 -7.2721 -19.3871
Se -5.2484 -0.6159 -16.4475
Se -10.7215 -3.9055 -13.8179
Se -0.8559 -4.0050 -20.2752
Se -14.1068 -1.7142 -13.3433
Se -2.2020 -5.0253 -17.0538
Se -9.6530 -5.3993 -22.8738
K -5.3759 -1.3450 -3.9100
K -9.6645 -1.2769 -6.9086
K -1.7793 -1.3450 -16.1780
K -0.3712 -2.2432 -1.5678
K -13.9392 -5.1641 -13.8358
K -7.5264 -5.1641 -1.5678
K -6.7840 -2.2432 -13.8358
K -4.6459 -6.1304 -19.1767
K -4.8089 -5.9282 -10.7892
K -12.5311 -6.0623 -3.9100
K -8.9345 -6.0623 -16.1780
K -2.3463 -5.9282 -23.0573
K -11.9641 -1.4790 -10.7892
K -2.5093 -6.1304 -6.9086
K -9.5015 -1.4790 -23.0573
K -11.8011 -1.2769 -19.1767
P -8.6859 -6.4113 -12.2642
P -3.0588 -2.6708 -11.9104
P -1.5307 -0.9960 -12.2642
P -12.9665 -5.0892 -17.6547
P -4.0964 -2.6708 -24.1785
P -5.6245 -0.9960 -24.5323
P -7.8991 -1.8589 -18.5365
P -8.4991 -5.0892 -5.3866
P -13.5665 -1.8589 -6.2685
P -12.7797 -6.4113 -24.5323
P -11.2516 -4.7365 -24.1785
P -10.2140 -4.7365 -11.9104
P -1.3439 -2.3180 -5.3866
P -5.8113 -2.3180 -17.6547
P -6.4113 -5.5484 -6.2685
P -0.7439 -5.5484 -18.5365
Ge -13.1644 -4.8626 -21.3028
Ge -8.3012 -4.8626 -9.0348
Ge -1.1460 -2.5447 -9.0348
Ge -6.0092 -2.5447 -21.3028
```


The following is a PBE calculation of a relaxed structure of K2Ge2PbS6, from the Materials Project database. Values from VASP.

Output
**E_tot**: -4.37 eV per atom
**E_form**: -11.1 eV/f.u.
>>>
The entry goes on.

Chercheurs principaux

-- Between two parts of the entry: calculated crystals --
Computed, not measured: BPd5 after structural relaxation at the GGA-PBE level of DFT.

* SG: P2_1/c
* electronic total energy: -5.65 eV per atom
* formation energy: -0.218 eV/atom

Lattice parameters (Å, degrees): 6.418 8.218 9.077 90.00 134.52 90.00
Fractional positions:
B (0.209, 0.130, 0.156)
B (0.209, 0.370, 0.656)
B (0.791, 0.630, 0.344)
B (0.791, 0.870, 0.844)
Pd (0.003, 0.625, 0.247)
Pd (0.003, 0.875, 0.747)
Pd (0.198, 0.119, 0.650)
Pd (0.198, 0.381, 0.150)
Pd (0.207, 0.629, 0.655)
Pd (0.207, 0.871, 0.155)
Pd (0.391, 0.625, 0.044)
Pd (0.391, 0.875, 0.544)
Pd (0.405, 0.125, 0.048)
Pd (0.405, 0.375, 0.548)
Pd (0.595, 0.625, 0.452)
Pd (0.595, 0.875, 0.952)
Pd (0.609, 0.125, 0.456)
Pd (0.609, 0.375, 0.956)
Pd (0.793, 0.129, 0.845)
Pd (0.793, 0.371, 0.345)
Pd (0.802, 0.619, 0.850)
Pd (0.802, 0.881, 0.350)
Pd (0.997, 0.125, 0.253)
Pd (0.997, 0.375, 0.753)

***

Computed, not measured: NdTl2InTe4 after structural relaxation at the GGA-PBE level of DFT.

* SG: I-42m
* electronic total energy: -3.74 eV per atom
* formation energy: -0.847 eV/atom

Lattice parameters (Å, degrees): 8.577 8.577 7.670 90.00 90.00 90.00
Fractional positions:
Nd (0.000, 0.000, 0.000)
Nd (0.500, 0.500, 0.500)
Tl (0.000, 0.500, 0.000)
Tl (0.000, 0.500, 0.500)
Tl (0.500, 0.000, 0.000)
Tl (0.500, 0.000, 0.500)
In (0.000, 0.000, 0.500)
In (0.500, 0.500, 0.000)
Te (0.187, 0.187, 0.725)
Te (0.187, 0.813, 0.275)
Te (0.313, 0.313, 0.225)
Te (0.313, 0.687, 0.775)
Te (0.687, 0.313, 0.775)
Te (0.687, 0.687, 0.225)
Te (0.813, 0.187, 0.275)
Te (0.813, 0.813, 0.725)

***

Computed, not measured: Na26In4O19 after structural relaxation at the GGA-PBE level of DFT.

* SG: Cc
* electronic total energy: -4.20 eV per atom
* formation energy: -1.622 eV/atom

Lattice parameters (Å, degrees): 12.487 12.487 12.482 109.57 109.57 108.97
Fractional positions:
Na (0.010, 0.576, 0.093)
Na (0.019, 0.340, 0.965)
Na (0.023, 0.977, 0.500)
Na (0.044, 0.792, 0.311)
Na (0.058, 0.711, 0.923)
Na (0.070, 0.514, 0.728)
Na (0.104, 0.475, 0.412)
Na (0.106, 0.926, 0.146)
Na (0.118, 0.305, 0.640)
Na (0.204, 0.348, 0.184)
Na (0.220, 0.531, 0.965)
Na (0.220, 0.979, 0.703)
Na (0.245, 0.603, 0.310)
Na (0.250, 0.806, 0.512)
Na (0.280, 0.906, 0.929)
Na (0.287, 0.700, 0.736)
Na (0.305, 0.118, 0.140)
Na (0.310, 0.474, 0.610)
Na (0.340, 0.019, 0.465)
Na (0.346, 0.402, 0.886)
Na (0.348, 0.204, 0.684)
Na (0.402, 0.346, 0.386)
Na (0.414, 0.547, 0.189)
Na (0.422, 0.748, 0.992)
Na (0.474, 0.310, 0.110)
Na (0.475, 0.104, 0.912)
Na (0.490, 0.902, 0.739)
Na (0.514, 0.070, 0.228)
Na (0.520, 0.605, 0.870)
Na (0.531, 0.220, 0.465)
Na (0.547, 0.414, 0.689)
Na (0.576, 0.010, 0.593)
Na (0.603, 0.245, 0.810)
Na (0.605, 0.520, 0.370)
Na (0.616, 0.760, 0.218)
Na (0.700, 0.287, 0.236)
Na (0.711, 0.058, 0.423)
Na (0.714, 0.814, 0.855)
Na (0.748, 0.422, 0.492)
Na (0.760, 0.616, 0.718)
Na (0.765, 0.838, 0.572)
Na (0.792, 0.044, 0.811)
Na (0.806, 0.250, 0.012)
Na (0.814, 0.714, 0.355)
Na (0.838, 0.765, 0.072)
Na (0.845, 0.979, 0.283)
-- The calculated crystals stop here --

Distributionally robust reinforcement learning


This project uses ideas from mathematical optimization and learning theory to derive statistical guarantees for reinforcement learning (RL). While there has recently been significant progress in the understanding of finite-sample guarantees for the linear quadratic regulator (LQR) problem, it remains unclear how to generalize these results beyond the LQR setting. We plan to establish a principled approach to RL based on distributionally robust optimization with the goal to derive statistical guarantees for RL problems beyond the LQR setup. We also aim to develop efficient computational algorithms.

Distributionally robust reinforcement learning

This project uses ideas from mathematical optimization and learning theory to derive statistical guarantees for reinforcement learning (RL). While there has recently been significant progress in the understanding of finite-sample guarantees for the linear quadratic regulator (LQR) problem, it remains unclear how to generalize these results beyond the LQR setting. We plan to establish a principled approach to RL based on distributionally robust optimization with the goal to derive statistical guarantees for RL problems beyond the LQR setup. We also aim to develop efficient computational algorithms.
